'''
No. 1
{"formula": "C21H22ClNO2PW", "method": "wB97M-V/def2-TZVPD", "species": ["W", "Cl", "C", "O", "P", "C", "C", "C", "C", "C", "C", "C", "C", "H", "H", "H", "H", "H", "C", "C", "C", "C", "C", "H", "H", "H", "H", "H", "C", "C", "C", "C", "C", "H", "H", "H", "H", "H", "H", "H", "C", "C", "N", "O", "H", "H", "H", "H", "H"], "xyz": [[0.092, -0.401, 1.731], [-1.039, -2.391, 1.990], [1.945, -0.912, 2.109], [3.029, -1.358, 2.188], [0.060, -0.080, -0.521], [0.651, 1.499, -1.145], [1.106, -1.391, -1.244], [-1.620, -0.403, -1.148], [0.505, -2.623, -1.534], [1.271, -3.617, -2.145], [2.635, -3.403, -2.363], [3.245, -2.203, -1.965], [2.489, -1.192, -1.371], [-0.559, -2.783, -1.351], [0.780, -4.539, -2.459], [3.227, -4.186, -2.838], [4.308, -2.050, -2.130], [2.950, -0.254, -1.045], [1.459, 2.312, -0.352], [1.911, 3.511, -0.908], [1.561, 3.860, -2.207], [0.738, 3.022, -2.979], [0.271, 1.837, -2.448], [1.722, 2.050, 0.673], [2.548, 4.147, -0.302], [1.926, 4.788, -2.636], [0.451, 3.281, -3.991], [-0.377, 1.184, -3.027], [-1.715, -0.676, -2.524], [-2.972, -0.852, -3.085], [-4.116, -0.819, -2.272], [-4.005, -0.609, -0.899], [-2.747, -0.406, -0.321], [-0.812, -0.732, -3.144], [-3.042, -1.012, -4.154], [-5.097, -0.959, -2.718], [-4.888, -0.587, -0.256], [-2.686, -0.261, 0.759], [0.564, 1.170, 2.088], [-1.353, 0.802, 1.960], [-0.326, 0.294, 6.315], [-0.362, 0.599, 4.833], [-0.869, 1.745, 4.370], [0.137, -0.324, 4.132], [-0.742, 1.104, 6.925], [0.734, 0.089, 6.542], [-0.870, -0.657, 6.439], [-0.881, 1.946, 3.377], [-1.235, 2.441, 5.052]], "atomic_forces_ev_per_a": [[-7.071, -2.878, 5.218], [0.898, 1.319, -0.089], [9.499, -1.715, 0.967], [-5.636, 2.090, -0.175], [-0.223, 1.162, -4.100], [-0.181, -0.333, 0.370], [0.825, 1.042, 1.120], [0.332, -0.104, 1.061], [-0.198, -1.031, -0.754], [0.270, -0.186, -0.328], [-1.042, -1.006, -0.196], [0.311, 0.708, 0.270], [-0.745, 0.203, -0.038], [0.288, -0.070, 0.168], [0.304, 0.158, 0.123], [-0.080, 0.198, 0.119], [-0.106, -0.075, 0.025], [-0.127, -0.294, -0.267], [0.062, 0.453, -0.346], [0.089, -0.262, 0.219], [-0.174, -0.180, -0.200], [0.167, 0.185, 0.134], [0.088, 0.112, 0.051], [-0.010, 0.098, -0.364], [-0.083, 0.059, -0.190], [-0.056, -0.092, 0.083], [0.125, 0.146, 0.082], [0.232, 0.403, 0.066], [-0.109, -0.202, -0.507], [-0.542, -0.112, 0.153], [0.418, -0.077, -1.039], [0.224, 0.123, 0.731], [0.078, 0.052, -0.398], [-0.482, 0.058, 0.153], [-0.180, -0.072, 0.080], [0.154, 0.036, 0.049], [0.196, -0.043, -0.298], [-0.018, 0.071, -0.420], [0.675, 0.389, 0.297], [1.977, -0.719, -0.278], [0.018, 0.140, -0.579], [-0.243, 0.582, 1.216], [0.012, -0.232, 1.186], [-0.197, 0.276, -3.097], [0.179, -0.382, -0.062], [-0.452, 0.199, 0.179], [0.107, 0.455, 0.182], [0.000, 0.164, 0.397], [0.429, -0.816, -0.970]], "e_lumo_ha": [-0.467, -0.533], "spin_multiplicity": 3, "total_energy_ev": -51323.005, "total_charge": 3}

***

No. 2
'''

Could you write out every line further up that contains the word "formula"?

{"formula": "C21H22ClNO2PW", "method": "wB97M-V/def2-TZVPD", "species": ["W", "Cl", "C", "O", "P", "C", "C", "C", "C", "C", "C", "C", "C", "H", "H", "H", "H", "H", "C", "C", "C", "C", "C", "H", "H", "H", "H", "H", "C", "C", "C", "C", "C", "H", "H", "H", "H", "H", "H", "H", "C", "C", "N", "O", "H", "H", "H", "H", "H"], "xyz": [[0.092, -0.401, 1.731], [-1.039, -2.391, 1.990], [1.945, -0.912, 2.109], [3.029, -1.358, 2.188], [0.060, -0.080, -0.521], [0.651, 1.499, -1.145], [1.106, -1.391, -1.244], [-1.620, -0.403, -1.148], [0.505, -2.623, -1.534], [1.271, -3.617, -2.145], [2.635, -3.403, -2.363], [3.245, -2.203, -1.965], [2.489, -1.192, -1.371], [-0.559, -2.783, -1.351], [0.780, -4.539, -2.459], [3.227, -4.186, -2.838], [4.308, -2.050, -2.130], [2.950, -0.254, -1.045], [1.459, 2.312, -0.352], [1.911, 3.511, -0.908], [1.561, 3.860, -2.207], [0.738, 3.022, -2.979], [0.271, 1.837, -2.448], [1.722, 2.050, 0.673], [2.548, 4.147, -0.302], [1.926, 4.788, -2.636], [0.451, 3.281, -3.991], [-0.377, 1.184, -3.027], [-1.715, -0.676, -2.524], [-2.972, -0.852, -3.085], [-4.116, -0.819, -2.272], [-4.005, -0.609, -0.899], [-2.747, -0.406, -0.321], [-0.812, -0.732, -3.144], [-3.042, -1.012, -4.154], [-5.097, -0.959, -2.718], [-4.888, -0.587, -0.256], [-2.686, -0.261, 0.759], [0.564, 1.170, 2.088], [-1.353, 0.802, 1.960], [-0.326, 0.294, 6.315], [-0.362, 0.599, 4.833], [-0.869, 1.745, 4.370], [0.137, -0.324, 4.132], [-0.742, 1.104, 6.925], [0.734, 0.089, 6.542], [-0.870, -0.657, 6.439], [-0.881, 1.946, 3.377], [-1.235, 2.441, 5.052]], "atomic_forces_ev_per_a": [[-7.071, -2.878, 5.218], [0.898, 1.319, -0.089], [9.499, -1.715, 0.967], [-5.636, 2.090, -0.175], [-0.223, 1.162, -4.100], [-0.181, -0.333, 0.370], [0.825, 1.042, 1.120], [0.332, -0.104, 1.061], [-0.198, -1.031, -0.754], [0.270, -0.186, -0.328], [-1.042, -1.006, -0.196], [0.311, 0.708, 0.270], [-0.745, 0.203, -0.038], [0.288, -0.070, 0.168], [0.304, 0.158, 0.123], [-0.080, 0.198, 0.119], [-0.106, -0.075, 0.025], [-0.127, -0.294, -0.267], [0.062, 0.453, -0.346], [0.089, -0.262, 0.219], [-0.174, -0.180, -0.200], [0.167, 0.185, 0.134], [0.088, 0.112, 0.051], [-0.010, 0.098, -0.364], [-0.083, 0.059, -0.190], [-0.056, -0.092, 0.083], [0.125, 0.146, 0.082], [0.232, 0.403, 0.066], [-0.109, -0.202, -0.507], [-0.542, -0.112, 0.153], [0.418, -0.077, -1.039], [0.224, 0.123, 0.731], [0.078, 0.052, -0.398], [-0.482, 0.058, 0.153], [-0.180, -0.072, 0.080], [0.154, 0.036, 0.049], [0.196, -0.043, -0.298], [-0.018, 0.071, -0.420], [0.675, 0.389, 0.297], [1.977, -0.719, -0.278], [0.018, 0.140, -0.579], [-0.243, 0.582, 1.216], [0.012, -0.232, 1.186], [-0.197, 0.276, -3.097], [0.179, -0.382, -0.062], [-0.452, 0.199, 0.179], [0.107, 0.455, 0.182], [0.000, 0.164, 0.397], [0.429, -0.816, -0.970]], "e_lumo_ha": [-0.467, -0.533], "spin_multiplicity": 3, "total_energy_ev": -51323.005, "total_charge": 3}